# Given
┌──
Record 1
Here is C5H7NO in the gas phase from the Open Molecules 2025 dataset. Energies are from the ωB97M-V functional and the def2-TZVPD basis.

Calculated values
LUMO   0.878 eV
Frontier orbital gap   10.0 eV
HOMO   -9.17 eV
Structure (SMILES)   C[C@]12N[C@H]1CC2=O
Net charge   0
Energy above the lowest of the compared OMol25 structures with the same formula, charge and spin   288.3 kJ/mol

Last column: Mulliken charge in e.
Positions of all 14 atoms, in Å:
1 C -1.755 0.189 0.009  -1.167
2 C -0.401 -0.494 0.189  0.874
3 N 0.408 -1.360 1.083  -0.619
4 C 0.741 0.046 0.990  -0.290
5 C 1.406 0.555 -0.304  -0.536
6 C 0.371 -0.275 -1.065  0.114
7 O 0.130 -0.572 -2.205  -0.574
8 H -1.595 0.919 -0.813  0.321
9 H -2.036 0.789 0.873  0.334
10 H -2.568 -0.442 -0.344  0.308
11 H 1.080 -1.978 0.612  0.267
12 H 0.645 0.591 1.925  0.406
13 H 2.449 0.413 -0.561  0.342
14 H 1.126 1.619 -0.388  0.220

---

Record 2
Here is C5H7NO in the gas phase from the Open Molecules 2025 dataset. Energies are from the ωB97M-V functional and the def2-TZVPD basis.

Calculated values
LUMO   1.020 eV
Frontier orbital gap   9.1 eV
HOMO   -8.10 eV
Structure (SMILES)   Cc1cc(N)co1
Net charge   0
Energy above the lowest of the compared OMol25 structures with the same formula, charge and spin   273.6 kJ/mol

Last column: Mulliken charge in e.
Positions of all 14 atoms, in Å:
1 C 2.363 -0.124 0.218  -1.109
2 C 0.910 0.100 -0.008  0.657
3 C -0.077 -0.871 -0.058  -0.654
4 C -1.308 -0.075 -0.105  0.681
5 N -2.603 -0.599 -0.074  -0.558
6 C -0.937 1.225 -0.165  -0.623
7 O 0.447 1.348 -0.107  -0.383
8 H 2.991 0.509 -0.410  0.329
9 H 2.618 -1.179 0.073  0.325
10 H 2.558 0.108 1.272  0.274
11 H 0.437 -1.075 -1.050  0.106
12 H -2.635 -1.521 0.343  0.266
13 H -3.289 0.006 0.364  0.255
14 H -1.476 2.148 -0.293  0.436

---

Record 3
Here is C5H7NO in the gas phase from the Open Molecules 2025 dataset. Energies are from the ωB97M-V functional and the def2-TZVPD basis.

Calculated values
LUMO   1.019 eV
Frontier orbital gap   10.2 eV
HOMO   -9.13 eV
Net charge   0
Energy above the lowest of the compared OMol25 structures with the same formula, charge and spin   518.0 kJ/mol

Last column: Mulliken charge in e.
Positions of all 14 atoms, in Å:
1 C -1.523 -0.884 -0.270  -0.477
2 N -1.803 0.552 -0.095  -0.647
3 C -0.442 0.118 -0.133  0.445
4 C 0.643 0.274 0.882  -0.314
5 C 1.690 -0.297 -0.111  -0.528
6 C 0.883 0.806 -0.785  -0.187
7 O 0.965 1.635 0.389  -0.466
8 H -1.659 -1.562 0.578  0.222
9 H -1.883 -1.299 -1.212  0.238
10 H -2.125 0.797 0.840  0.246
11 H 0.544 0.169 1.955  0.513
12 H 1.545 -1.275 -0.568  0.210
13 H 2.713 -0.136 0.245  0.267
14 H 0.451 1.101 -1.715  0.479


[1]
24
Properties=species:S:1:pos:R:3 method="wB97M-V/def2-TZVPD" relative_energy_kj_mol=41.6 fmax_ev_per_a=4.021 charge=+1 lumo_energy_ha=-0.1410 total_energy_ev=-18957.3493 smiles="O=C1NC(=O)[C@H](C2=NN3C[C@H]2C[NH2+]3)N1" spin_multiplicity=1
O -3.94 -1.38 -1.01
C -3.14 -0.62 -0.47
N -3.33 0.77 -0.25
C -2.28 1.37 0.34
O -2.06 2.50 0.50
C -1.33 0.11 0.83
C 0.10 0.32 0.44
N 0.87 1.05 1.12
N 2.12 1.16 0.48
C 1.79 0.95 -0.97
C 0.95 -0.34 -0.70
C 2.02 -1.27 -0.15
N 2.79 -0.30 0.75
N -2.09 -1.04 0.30
H -4.18 1.26 -0.53
H -1.41 0.09 1.89
H 2.72 0.73 -1.55
H 1.24 1.69 -1.45
H 0.40 -0.58 -1.62
H 1.75 -2.06 0.43
H 2.54 -1.77 -0.90
H 2.65 -0.53 1.74
H 3.78 -0.11 0.34
H -1.96 -2.03 0.45


[2]
56
Properties=species:S:1:pos:R:3 method="wB97M-V/def2-TZVPD" relative_energy_kj_mol=0.0 fmax_ev_per_a=1.724 lumo_energy_ha=0.0200 total_energy_ev=-37697.2287 smiles="CNC(=O)[C@@H](NC(C)=O)C(C)C.O=C(Nc1ccc(F)cc1F)N1CCCC1" spin_multiplicity=1
C 3.43 -4.76 0.75
N 1.98 -4.55 0.82
C 1.37 -3.37 0.74
O 2.00 -2.32 0.61
C -0.16 -3.38 0.89
N -0.57 -3.90 2.22
C -0.59 -5.19 2.56
C -1.04 -5.50 3.97
O -0.25 -6.09 1.81
C -0.84 -2.02 0.60
C -2.35 -2.23 0.43
C -0.63 -0.95 1.68
H 3.70 -5.70 1.23
H 3.74 -4.79 -0.30
H 3.95 -3.94 1.25
H 1.39 -5.36 0.98
H -0.52 -4.08 0.14
H -0.84 -3.23 2.91
H -2.06 -5.16 4.11
H -0.98 -6.58 4.13
H -0.38 -4.99 4.68
└──

# Assignment
Set down the rows further above from the first line to the one with "-0.654" verbatim.

# Reply
Record 1
Here is C5H7NO in the gas phase from the Open Molecules 2025 dataset. Energies are from the ωB97M-V functional and the def2-TZVPD basis.

Calculated values
LUMO   0.878 eV
Frontier orbital gap   10.0 eV
HOMO   -9.17 eV
Structure (SMILES)   C[C@]12N[C@H]1CC2=O
Net charge   0
Energy above the lowest of the compared OMol25 structures with the same formula, charge and spin   288.3 kJ/mol

Last column: Mulliken charge in e.
Positions of all 14 atoms, in Å:
1 C -1.755 0.189 0.009  -1.167
2 C -0.401 -0.494 0.189  0.874
3 N 0.408 -1.360 1.083  -0.619
4 C 0.741 0.046 0.990  -0.290
5 C 1.406 0.555 -0.304  -0.536
6 C 0.371 -0.275 -1.065  0.114
7 O 0.130 -0.572 -2.205  -0.574
8 H -1.595 0.919 -0.813  0.321
9 H -2.036 0.789 0.873  0.334
10 H -2.568 -0.442 -0.344  0.308
11 H 1.080 -1.978 0.612  0.267
12 H 0.645 0.591 1.925  0.406
13 H 2.449 0.413 -0.561  0.342
14 H 1.126 1.619 -0.388  0.220

---

Record 2
Here is C5H7NO in the gas phase from the Open Molecules 2025 dataset. Energies are from the ωB97M-V functional and the def2-TZVPD basis.

Calculated values
LUMO   1.020 eV
Frontier orbital gap   9.1 eV
HOMO   -8.10 eV
Structure (SMILES)   Cc1cc(N)co1
Net charge   0
Energy above the lowest of the compared OMol25 structures with the same formula, charge and spin   273.6 kJ/mol

Last column: Mulliken charge in e.
Positions of all 14 atoms, in Å:
1 C 2.363 -0.124 0.218  -1.109
2 C 0.910 0.100 -0.008  0.657
3 C -0.077 -0.871 -0.058  -0.654